The more we play, the more questions about the rules we have


Tuesday, we started our third MG campaign. We discovered some issues that could use clarification.

  1. How do Trait and Maneuver bonuses/penalties apply to Begginer’s Luck roll? Should I aplly them before or after halving my dice from ability, wises, help and gear?

  2. Can we boost the same type of action multiple times when multiple players use the Roleplay weapon of wit?

  3. I’m a little confused by disposition bonuses from the enmity clause rules. What about situations when the player wants to deal with his enemy with a simple versus test? The rules say that „enemies gain +3s to their disposition in arguments and speeches". Shouldn’t there be a bonus to versus tests as well?

  4. Which skills can help in disposition rolls at the beginning of a conflict? Only the skill used in the disposition roll, or maybe all skills listed as suggested help in the Abilities and Skills chapter are allowed?

  5. Is it possible to join a team without helping in disposition roll? What with situations when most or none of the characters have applicable skills? Does each of them have to form a separate one-character team to get any actions in a conflict?

Also, we have had an argue about a compromise, but maybe I will write about it later.

[Someone pasted records of crystals at this point]
-- begin --
Compound: TmCd2Ni9
Source: the Alexandria database
Functional: PBE
Structure: relaxed

```
TmCd2Ni9
1.0
2.4387 1.4080 7.9234
-2.4387 1.4080 7.9234
0.0000 -2.8160 7.9234
Tm Cd Ni
1 2 9
Direct
0.0000 0.0000 0.0000
0.1428 0.1428 0.1428
0.8572 0.8572 0.8572
0.0813 0.5835 0.5835
0.3337 0.3337 0.3337
0.4165 0.4165 0.9187
0.4165 0.9187 0.4165
0.5000 0.5000 0.5000
0.5835 0.0813 0.5835
0.5835 0.5835 0.0813
0.6663 0.6663 0.6663
0.9187 0.4165 0.4165
```

Size of the total moment in μB per cell: 3.5
Formation energy in meV/atom: -169
Raw total energy in eV per cell: -60.4
Volume in A^3/atom: 13.60

* * * * *

Computed, not measured: a geometry-optimized CrInH2Se structure at the PBE-GGA level of DFT.

## Properties
The value obtained for the uncorrected energy is -19.95 eV for the cell shown. As for the space-group type: P4/mmm (123). The value obtained for the calculated volume is 15.62 Å³ per atom. Its crystal system is tetragonal.

Cell lengths 3.8149, 5.3663, 3.8149 Å; angles 90.00, 90.00, 90.00 degrees
With the nearest neighbours (Å) after each atom.
Sites, in units of the cell vectors:
Cr 0.0000 0.5000 0.0000  2 Se 2.68, 4 In 2.70
H 0.0000 0.0000 0.5000  2 Se 1.91
H 0.5000 0.0000 0.0000  2 Se 1.91
Se 0.0000 0.0000 0.0000  4 H 1.91
In 0.5000 0.5000 0.5000  4 Cr 2.70

=====

Computed, not measured: a geometry-optimized V2CrInH structure at the PBE-GGA level of DFT.

## Properties
The value obtained for the uncorrected energy is -33.43 eV for the cell shown. As for the space-group type: P4/mmm (123). The value obtained for the calculated volume is 12.24 Å³ per atom. Its crystal system is tetragonal.

Cell lengths 3.9042, 3.9042, 4.0134 Å; angles 90.00, 90.00, 90.00 degrees
With the nearest neighbours (Å) after each atom.
Sites, in units of the cell vectors:
Cr 0.0000 0.0000 0.5000  2 H 2.01
V 0.0000 0.5000 0.0000  2 H 1.95
V 0.5000 0.0000 0.0000  2 H 1.95
H 0.0000 0.0000 0.0000  4 V 1.95, 2 Cr 2.01
In 0.5000 0.5000 0.5000  4 Cr 2.76, 8 V 2.80

=====

Computed, not measured: a geometry-optimized Cr2HIr2 structure at the PBE-GGA level of DFT.

## Properties
The value obtained for the uncorrected energy is -36.78 eV for the cell shown. As for the space-group type: I4/mmm (139). The value obtained for the calculated volume is 12.64 Å³ per atom. Its crystal system is tetragonal.

Cell lengths 3.0723, 3.0723, 7.0389 Å; angles 77.39, 77.39, 90.00 degrees
With the nearest neighbours (Å) after each atom.
Sites, in units of the cell vectors:
Cr 0.7500 0.2500 0.5000  4 Cr 2.17
Cr 0.2500 0.7500 0.5000  4 Cr 2.17
Ir 0.4030 0.4030 0.1940  4 H 2.53, 4 Cr 2.56, 1 Ir 2.60
Ir 0.5970 0.5970 0.8060  4 H 2.53, 4 Cr 2.56, 1 Ir 2.60
H 0.0000 0.0000 0.0000  8 Ir 2.53

=====

Please write out number 3 again, unchanged.
Computed, not measured: a geometry-optimized Cr2HIr2 structure at the PBE-GGA level of DFT.

## Properties
-- stop --

I hope for detailed answers, because we want to be more comfortable with the rules on our next session.

  1. Rewards and traits are not included in the list of elements that are combined and then halved. Thus, you add rewards and traits after you halve for beginner’s luck.

[What comes next are data records, not part of the article]
The following is a PBE calculation of a relaxed structure of BaNa2Br2, from the Alexandria database.

Values from the calculation:
- distance to the lowest polymorph of the same formula (meV/atom) = 0.0
- calculated total energy (eV/atom) = -2.6791
- energy relative to the elements, uncorrected (meV per atom) = -1098

Unit cell a=8.6136 b=8.6136 c=6.0935 alpha=90.00 beta=90.00 gamma=90.00
Space group P4/mbm (No. 127)
Inequivalent atoms, fractional coordinates:
Ba1 0.0000 0.0000 0.0000 x2
Na1 0.1989 0.3011 0.5000 x4
Br1 0.1661 0.3339 0.0000 x4

***

The following is a PBE calculation of a relaxed structure of BaNaBr2, from the Alexandria database.

Values from the calculation:
- distance to the lowest polymorph of the same formula (meV/atom) = 0.0
- calculated total energy (eV/atom) = -3.1801
- energy relative to the elements, uncorrected (meV per atom) = -1533

Unit cell a=4.3539 b=4.3539 c=24.7407 alpha=90.00 beta=90.00 gamma=120.00
Space group R3m (No. 160, hexagonal axes)
Inequivalent atoms, fractional coordinates:
Ba1 0.0000 0.0000 0.0000 x3
Na1 0.0000 0.0000 0.8308 x3
Br1 0.0000 0.0000 0.2366 x3
Br2 0.0000 0.0000 0.4295 x3

***

The following is a PBE calculation of a relaxed structure of Ba2NaBr, from the Alexandria database.

Values from the calculation:
- distance to the lowest polymorph of the same formula (meV/atom) = 0.0
- calculated total energy (eV/atom) = -2.4227
- energy relative to the elements, uncorrected (meV per atom) = -713

Unit cell a=4.4716 b=4.4716 c=32.7605 alpha=90.00 beta=90.00 gamma=120.00
Space group R-3m (No. 166, hexagonal axes)
Inequivalent atoms, fractional coordinates:
Ba1 0.0000 0.0000 0.2375 x6
Na1 0.0000 0.0000 0.0000 x3
Br1 0.0000 0.0000 0.5000 x3

***

The following is a PBE calculation of a relaxed structure of Ba5Na3Br12, from the Alexandria database.

Values from the calculation:
- calculated total energy (eV/atom) = -3.4476
- energy relative to the elements, uncorrected (meV per atom) = -1765

Unit cell a=19.2614 b=19.2614 c=19.2614 alpha=90.00 beta=90.00 gamma=90.00
Space group Ia-3d (No. 230)
Inequivalent atoms, fractional coordinates:
Ba1 0.0000 0.0000 0.0000 x16
Ba2 0.0000 0.2500 0.3750 x24
Na1 0.0000 0.2500 0.1250 x24
Br1 0.0265 0.0773 0.6481 x96

***

The following is a PBE calculation of a relaxed structure of BaNaBr, from the Alexandria database.

Values from the calculation:
- distance to the lowest polymorph of the same formula (meV/atom) = 74.9
- calculated total energy (eV/atom) = -2.5755
- energy relative to the elements, uncorrected (meV per atom) = -937

Unit cell a=4.4189 b=4.4189 c=7.6327 alpha=90.00 beta=90.00 gamma=120.00
Space group P3m1 (No. 156)
Inequivalent atoms, fractional coordinates:
Ba1 0.0000 0.0000 0.0000 x1
Na1 0.3333 0.6667 0.5595 x1
Br1 0.6667 0.3333 0.2973 x1

***

The following is a PBE calculation of a relaxed structure of Ba2NaBr, from the Alexandria database.

Values from the calculation:
- distance to the lowest polymorph of the same formula (meV/atom) = 95.7

  2. Only the character making the action can use a weapon.

  3. Nope.

  4. This follows the Teamwork rules on page 94. Specifically, “Help is situational: it must make sense to teh players.”

  5. Of course you can be a part of a team and be unable to actually help with disposition. However, the strategically smart thing to do is to let the unskilled player use Nature or Beginner’s Luck to test for dispo. Skilled players then help him. But you can also have players stand outside the conflict and help whomever they can as per the Go Team Dispo rules on page 113.


  1. Clear.I did like this as GM.
  2. With Roleplay we have: If playing in a team, it sticks to that action for the team, not just the character. Is it cumulative? IE: First Action: Player did bonus for roleplay, Action 2: Player has same Action so he has 2 x Roleplay bonus?
    4 If you don’t help on the disposition roll, you’re not on that team. So what? Dispostion roll has no S/F so why not roll Nature only? 4 Nature is beter than 2 Persuader:)
  1. page 120, last sentence of the second Roleplay paragraph. It sticks to one action for the team.

  2. It’s against your Nature. Since this seems to be a loophole, just automatically tax Nature by one if it’s used for dispo rolls against Nature.


This follows the Teamwork rules on page 94. Specifically, “Help is situational: it must make sense to teh players.”

The core of our problem is that the disposition roll isn’t situational. That roll creates mechanical currency but it doesn’t represent anything concrete in the fiction and it doesn’t give me any context to work with. And that’s why we have a problem with applying helping rules in that specific moment of play.

Any suggestions?

P.S. Thanks for your previous answers.

Well, it sounds like it doesn’t make sense to you and therefore you should disallow it.

A geometry-optimized SrBeSiPd structure. Source: OQMD via LeMat-Bulk, functional GGA-PBE.

Values from the calculation:
For the total energy, the calculation gives -3.798 eV per atom. As for the theoretical density: 5.12 g/cm³. As for the crystal system: cubic. Its space group is F-43m (216).

a b c (Å): 4.732 4.732 4.732
angles (deg): 60.00 60.00 60.00
Fractional positions:
Sr 0.250 0.250 0.250
Pd 0.500 0.500 0.500
Si 0.000 0.000 0.000
Be 0.750 0.750 0.750


A geometry-optimized SrBeSiPd structure. Source: OQMD via LeMat-Bulk, functional GGA-PBE.

Values from the calculation:
For the total energy, the calculation gives -3.926 eV per atom. As for the theoretical density: 5.48 g/cm³. As for the crystal system: cubic. Its space group is F-43m (216).

a b c (Å): 4.628 4.628 4.628
angles (deg): 60.00 60.00 60.00
Fractional positions:
Sr 0.500 0.500 0.500
Si 0.250 0.250 0.250
Pd 0.000 0.000 0.000
Be 0.750 0.750 0.750


A geometry-optimized SmBePd structure. Source: OQMD via LeMat-Bulk, functional GGA-PBE.

Values from the calculation:
For the total magnetization, the calculation gives 0.0 μB/f.u. For the total energy, the calculation gives -4.120 eV per atom. As for the theoretical density: 6.27 g/cm³. As for the crystal system: cubic. Its space group is F-43m (216).

a b c (Å): 4.635 4.635 4.635
angles (deg): 60.00 60.00 60.00
Fractional positions:
Sm 0.000 0.000 0.000
Be 0.250 0.250 0.250
Pd 0.750 0.750 0.750


A geometry-optimized SmBePd structure. Source: OQMD via LeMat-Bulk, functional GGA-PBE.

Values from the calculation:
For the total magnetization, the calculation gives 0.0 μB/f.u. For the total energy, the calculation gives -4.666 eV per atom. As for the theoretical density: 6.74 g/cm³. As for the crystal system: cubic. Its space group is F-43m (216).

a b c (Å): 4.523 4.523 4.523
angles (deg): 60.00 60.00 60.00
Fractional positions:
Pd 0.250 0.250 0.250
Be 0.500 0.500 0.500
Sm 0.000 0.000 0.000


A geometry-optimized SmBePd structure. Source: OQMD via LeMat-Bulk, functional GGA-PBE.

Values from the calculation:
For the total magnetization, the calculation gives 0.0 μB/f.u. For the total energy, the calculation gives -4.646 eV per atom. As for the theoretical density: 7.43 g/cm³. As for the crystal system: cubic. Its space group is F-43m (216).

a b c (Å): 4.380 4.380 4.380
angles (deg): 60.00 60.00 60.00
Fractional positions:
Pd 0.250 0.250 0.250
Be 0.000 0.000 0.000
Sm 0.750 0.750 0.750


A geometry-optimized BeZnSnPd structure. Source: OQMD via LeMat-Bulk, functional GGA-PBE.

Values from the calculation:
For the total energy, the calculation gives -3.446 eV per atom. As for the theoretical density: 7.80 g/cm³. As for the crystal system: cubic. Its space group is F-43m (216).

a b c (Å): 4.485 4.485 4.485
angles (deg): 60.00 60.00 60.00
Fractional positions:
Sn 0.500 0.500 0.500
Zn 0.000 0.000 0.000
Be 0.750 0.750 0.750
Pd 0.250 0.250 0.250


- Which of these has the lowest theoretical density?
  number 1
Back to the page:

I understand the role of disposition, why it must be set before conflict and what it means for the rules, but I can’t see what the dispositon represents in the fiction. May I ask how your team cope with that issue when you play Mouse Guard?

Let me ask you about roleplay issue one more time: “Once chosen, the bonus die sticks to that action for the remainder of the argument. If playing in a team, it sticks to that action for the team, not just the character.” - but does it mean that this is possible: Action 1: I roleplay, adding +1 to all subsequent Attack actions in this conflict for the group. Action 2: Player B roleplays, adding +1 to all subsequent Attack actions in this conflict for the group. Action 3: Player C roleplays, adding +1 to all subsequent Attack actions in this conflict for the group. Does everyone in our team has +3 to subsequent Attack actions now?

Dispo is the strength of your argument or position in the fight.

Roleplay applies to the team! Individual players are members of their team, therefore they are subject to the rule: The TEAM gets +1D to one actiontype per conflict